331. The 'Holy Light's' support.

[The Godly Awakenings: Arc 15]

A 'GINKEN' a weapon which consists itself out of 'Spirituality' and extend another human's power.

These weapons are created upon a Human's birth at which point they're then known as a warrior with a title of 'Spiritual Duelist'.

Over centuries over millions of 'GINKENS' have been born and over a consistent lifespam, these weapon have became known as a tradition that many people end up knowing, their existence requires a strong body, a strong mind and a well durable body and only if a human manages to reach these specific 'importances' the 'GINKEN' will reveal itself and connect upon another's wielder Aura, which is built out of 'Spiritual Force' or in simple ways 'Pressure'.

About 75% of the world's population remain alive with such weapon and 3% of them are known to have Demon Blood, the main source that embraces up a 'Half-Demon'.

In current timeline, a woman - a Godess and the enhancer of the first 'GINKEN' appearances named 'Zero' lurks around the World with 98% of the people unaware about her, and with it, people believe that the World's finally been cleared of Demons, however many of the early-arriving Demons are still standing among the World.

[Planet Earth - Yarao City - Wednesday, 6:45 p.m.]

"Do you think it might of have been for a reason, or that somebody had forcibly done it to him?" Wondered Codey, holding his bandaged arm.

"It is another possibility, but-" However in the instant that Zero had tried to say it, her eyes shook and she dropped her finger.

"Has he by any chance came in contact with Ayuka, after the weeks that had passed, from our training session?"

[Planet Earth - Yarao City - Wednesday, 6:45 p.m.]

Codey's eyes quickly shook. "Came in contact with 'Ayuka'? After your training session?" Wondered Codey, while thinking, realizing. ("What should I say? I said I we had a conversation about keeping this away from Zero, but if I lie then I won't get an answer... But with, Zero will understand what had happened to Ayuka... If I tell her that she 'absorbed' his 'Spiritual Symbolism' then she'll probably go crazy, but if I don't-") "Damn it! All of this is so stupid of me to try and thinking, damn it, damn it, damn it!" Codey yelled, while messing his hair. "Hey, Codey. What is going through your mind?" Zero wondered.

"Tim and Ayuka came in contact at our Beach, she absorbed his 'Spiritual Symbolism' to not follow her, after she figured out who she was in reality! The fault was caused by Hitomi who calls herself a 'Time Shifter'. This forcibly put Ayuka to distrust us and made her take over the responsibility of 'Holy Light'! She knows about the tradition about what she must go through and we have been trying to get to her! But we had no kind of idea on how to get there! We were trying to hide this from you so that you wouldn't try to go after her! It was Tim's idea, so don't go pulling it on me! All I've been trying to do is help out! People in the 'Holy Archs' must not know that you're still alive on Planet Earth! So I bet they're thinking that Ayuka had came there for that specific reason! So all we need is a key to entering that stupid 'Heaven's Place'! I'm sorry, all right! I tried to help out Tim, but I couldn't have done much about! I also wish to repay Ayuka by stopping her marriage!" Codey yelled, when sweating and hitting his head into the bed.

"Hey! Calm down! No need to be that wild." Zero spoke, once Codey looked up at her. "But why would you hide this from me?" She questioned when Codey raised his head. "It was because of your limited power while you're on Planet Earth. Tim was aware that you were unable to return to the 'Holy Archs', so he avoided telling us that! But please, if you're truly a 'Godess' and care for your own daughter! I beg of you to lie back and tell us how to reach the 'Holy Archs'! I promise, whenever we meet back up with Tim! We'll do everything to avoid her marriage and the new birth!" Codey shouted, while almost crying out loud with worry.

"I-I do not understand. Why would you want to avoid her marriage? I understand that she is still young, but-" Right before that, Codey looked down, when his hair wobbled as well.

"She's just not ready for such responsibility, and you're still alive, so that means we do have the 'Holy Light'... But Ayuka's mind is off the hook, if she truly accepted the tradition, then we don't know how much time we have to stop that marriage!" Codey claimed, while grabbing his forehead.

"If she had accepted it, it means that she has only but a month before the marriage... That is how the 'Holy Light's' tradition works." Explained Zero, calm enough to be sturdy in her thinking. "A month? So then we don't even have that much time! Zero! I beg of you, you gotta tell us how to enter the 'Holy Archs'! You're not recovered from your power loss, so all that we ask of you is to tell us the secret to how on entering it! You do trust us, right! Please!" Codey called, grabbing his injured arm.

Zero looked down, when her eyes was very upset. "If I told you. You would be going into great danger. The 'Holy Archs' are filled by 'Holy Bloodlines'. If you were to enter, I would not see you be able of coming back alive..."

"No! Zero! You gotta listen to us! You're in no shape for doing such a job! I'll find Tim with my 'Perception' we'll catch up to him, explain him the process of how to enter and bring Ayuka! Just tell us! It's about your daughter! I beg of you, Zero! Listen to your heart not your mind!" Codey yelled, while a sweat dripped down Zero's left side of the forehead.


"... To enter the 'Holy Archs' you require a powerful 'Spiritual Force' and with it you need to visit the 'Holy Ruins'. But to get there, you would have to journey through the 'Skylane', 'Yasei Ruins', 'Takai Mountain' and then continued through the 'Suisei City'... You should be able to reach 'Holy Ruin's. It is surrounded by the ruins and insert a scroll onto the pendelum, this will open up a Dimension which will bring you to the entrance of the 'Holy Archs' and through there, you will need to break through the 'Holy Guards'. But do not underestimate them... They are known to be much more superior to you, alone..."

Codey was interested when he looked at her. "But how do we get that scroll?!" Codey wondered, stressed.

Crystal structures, as found in the file =
<<<
No. 1
! Li3V2O4F2, optimized geometry, DFT PBE+U; values from VASP
! calculated volume: 461.6 Å³/cell
&SYSTEM
  ibrav = 0, nat = 44, ntyp = 4
/
ATOMIC_SPECIES
Li 6.94 Li.upf
V 50.94 V.upf
O 16.00 O.upf
F 19.00 F.upf
CELL_PARAMETERS angstrom
5.198 -2.984 0.000
5.198 2.984 0.000
-0.103 0.000 14.881
ATOMIC_POSITIONS crystal
Li 0.000 0.000 0.000
Li 0.004 0.004 0.494
Li 0.171 0.171 0.850
Li 0.202 0.670 0.871
Li 0.341 0.341 0.114
Li 0.345 0.814 0.123
Li 0.505 0.998 0.493
Li 0.535 0.961 0.990
Li 0.670 0.202 0.871
Li 0.814 0.345 0.123
Li 0.961 0.535 0.990
Li 0.998 0.505 0.493
V 0.169 0.671 0.329
V 0.171 0.171 0.323
V 0.340 0.836 0.657
V 0.342 0.342 0.655
V 0.667 0.667 0.327
V 0.671 0.169 0.329
V 0.835 0.835 0.669
V 0.836 0.340 0.657
O 0.003 0.495 0.261
O 0.004 0.004 0.264
O 0.005 0.005 0.725
O 0.019 0.503 0.725
O 0.155 0.671 0.587
O 0.172 0.172 0.582
O 0.332 0.852 0.401
O 0.333 0.333 0.399
O 0.495 0.003 0.261
O 0.501 0.501 0.724
O 0.503 0.019 0.725
O 0.515 0.515 0.260
O 0.671 0.155 0.587
O 0.680 0.680 0.588
O 0.827 0.827 0.403
O 0.852 0.332 0.401
F 0.164 0.670 0.072
F 0.165 0.165 0.084
F 0.322 0.870 0.916
F 0.332 0.332 0.903
F 0.670 0.164 0.072
F 0.671 0.671 0.075
F 0.852 0.852 0.913
F 0.870 0.322 0.916

=====

No. 2
! LiVOF2, optimized geometry, DFT PBE+U; values from VASP
! calculated volume: 444.4 Å³/cell
&SYSTEM
  ibrav = 0, nat = 40, ntyp = 4
/
ATOMIC_SPECIES
Li 6.94 Li.upf
V 50.94 V.upf
O 16.00 O.upf
F 19.00 F.upf
CELL_PARAMETERS angstrom
8.824 0.000 0.000
0.000 5.275 0.000
-8.257 0.000 9.547
ATOMIC_POSITIONS crystal
Li 0.000 0.072 0.000
Li 0.000 0.928 0.500
Li 0.196 0.427 0.505
Li 0.196 0.573 0.005
Li 0.676 0.412 0.695
Li 0.676 0.588 0.195
Li 0.877 0.093 0.213
Li 0.877 0.907 0.713
V 0.040 0.396 0.694
V 0.040 0.604 0.194
V 0.393 0.041 0.419
V 0.393 0.959 0.919
V 0.508 0.077 0.190
V 0.508 0.923 0.690
V 0.592 0.390 0.933
V 0.592 0.610 0.433
O 0.131 0.094 0.795
O 0.131 0.906 0.295
O 0.414 0.204 0.562
O 0.414 0.796 0.062
O 0.494 0.076 0.826
O 0.494 0.924 0.326
O 0.571 0.238 0.067
O 0.571 0.762 0.567
F 0.057 0.275 0.556
F 0.057 0.725 0.056
F 0.237 0.240 0.073
F 0.237 0.760 0.573
F 0.317 0.421 0.321
F 0.317 0.579 0.821
F 0.622 0.421 0.306
F 0.622 0.579 0.806
F 0.733 0.289 0.562
F 0.733 0.711 0.062
F 0.791 0.080 0.803
F 0.791 0.920 0.303
F 0.891 0.278 0.066
F 0.891 0.722 0.566
F 0.977 0.429 0.302
F 0.977 0.571 0.802

=====

No. 3
! LiVOF3, optimized geometry, DFT PBE+U; values from VASP
! calculated volume: 138.6 Å³/cell
&SYSTEM
  ibrav = 0, nat = 12, ntyp = 4
/
ATOMIC_SPECIES
Li 6.94 Li.upf
V 50.94 V.upf
O 16.00 O.upf
F 19.00 F.upf
CELL_PARAMETERS angstrom
6.615 -2.365 0.000
6.615 2.365 0.000
-1.645 0.000 4.431
ATOMIC_POSITIONS crystal
Li 0.000 0.000 0.000
Li 0.504 0.496 0.500
V 0.283 0.331 0.783
V 0.669 0.717 0.217
O 0.021 0.579 0.524
O 0.421 0.979 0.476
F 0.221 0.617 0.128
F 0.383 0.779 0.872
F 0.590 0.015 0.074
F 0.625 0.216 0.718
F 0.784 0.375 0.282
F 0.985 0.410 0.926

=====

No. 4
! LiVOF2, optimized geometry, DFT PBE+U; values from VASP
>>>
End of the crystal structures =

Zero sighed and swooped her hand in front when an opened scroll appeared. "This is the scroll..." When Zero moved her hand gently forward, the scroll flew over to Codey as it wrapped and fell into his arms. "You are meant to read it out loud when you insert it onto the pendelum... One mistake can cause an uproar and the scroll will be ineffective... So it is very risky to be read by a human." She explained

Codey became serious. "Don't worry, I'll be the one reading it, as I believe I am most trust worthy." Claimed Codey.

"There is another option." Which made Codey confused. "Which."

"If you are worried about risking it, I can come along and read it correctly for you, but from the entrance, it will be necessary for you to go alone in it, I believe that is our only chance to perfection, so if you would mind. Would you consider me as your ally for this departure to the 'Holy Ruins'?" With it, Codey became surprised.

"But if you come along with us, we're bound to encounter enemies. Are you sure?" Codey wondered

"You do not need to be worried, I have only decided to come along to read the scroll, my combat would not be very effective and it would be risky to be revealed, so the only trouble you might need to think about is - me not fighting..." She explained. Codey was surprised and became serious. "I understand, we'll keep you out of combat, but promise us that you'll open the 'portal' to the 'Holy Archs'!"

"Of course."

"Thank you a lot, Zero. I never expected for you to be on our team, but right now... Elliot hasn't yet recovered, so-" Zero nodded.

"We can wait for his recover..."

[Planet Earth - Forest - Wednesday, 7:10 p.m.]

Tim ducked from the spot when moving his sword past his hip when skimming to the side and dashing toward his opponent, Takai Kenta.

Tim instantly sweeped with his sword forward at which point Kenta immediately made a step back and swung his sword forward when a powerful energy came in contact, knocking Tim aside in which mpment Kenta quickly crouched and dashed toward Tim who was knocked back, hopped in front of him and raised his sword over his left shoulder with his right arm when spinning in front of Tim and swinging his blade, but in luck Tim ducked and quickly dashed to the side, when grabbing the sword past his right hip in which moment, he sweeped with his sword forward and noticed how Kenta dropped onto his shoulder and rolled to the side, quickly standing up by using his right palm as support and front kicking into Tim's face, however Tim immediately moved the sword in front of him when his force was unleashed and caused the ground to shatter. To not waste time, Tim immediately swooped with his sword in oblique cut forward when Kenta crouched and blocked his sword by raising his own above his head.

From there, Kenta quickly knocked Tim's sword from his grip and disarmed him when stabbing forward. Tim quickly leaped backward when landed in a three-step position and was forcibly slid on the snow in which moment Tim quickly twisted his hand to turn on the ice and quickly launch himself forward at Kenta with an outstretched leg in which case he spun and roundly kicked Kenta in the face, knocking him aside when Tim quickly landed on the floor and immediately dashed forward, opening his palm when touching Kenta's stomach and with an opened palm unleashed a forceful wave of energy which knocked Kenta through the air, and flipped him backward when Tim's sword fell into his arm, in which moment he instantly dashed forward, by his sword outstretched behind his back and by an overhead swing cut right from the top to the bottom of Kenta's body, when injuring him and then instantly twisting his left foot on the floor when hopping, turning around and once again kicked Kenta into face, in which case Tim quickly landed and opened his palm, unleashing a powerful pulse which pushed himself back and hit Kenta in the stomach once knocking Kenta right into the back of the frozen tree.

Instantly Kenta's sword shattered when his eyes began to bleed. "You damn bastard! As soon as Hitomi find you, she'll rip your apart without any regrets! You'll see that! You ass!!!" Yelled Kenta when his body disappeared in blood cells. Tim spun his sword and sweeped it beneath his hip, pointing it downward when throwing it behind his back and making it disappear.

"If Hitomi's planning to throw such weak opponent at my direction, they may as well throw more of them at once..." Tim spoke when stepping forward.

[Planet Earth - Forest - Wednesday, 7:12 p.m.]

Codey, Elliot and Zero were running through the snow with 'Vanishing Dash' while Elliot asked.

"But how do you expect us to find Tim! He could of have went into any direction! There's no way for sure that this is the way!" Elliot called, looking at Zero. "Codey is able to seek his pressence by using his 'Spiritual Control'. I am entrusting him to succeed, as we are both quiet useless whenever it comes to scouting." Zero claimed, calm enough to run at the back, leaving Codey to stand in front.

"You don't need to worry! I know that he went through here, we should be there in no time! He probably hasn't used 'Vanishing Dash' so I'm sure that we had already somewhat caught up to him!" Codey called, when the three of them jumped down the standing wall of the snowy floor.

"You better be right..."

To be continued...